
== Misplaced data records ==
(1)
This entry pairs a crystal structure of Pm2NdYTm with its theoretical XRD peak list. Radiation: CuKα. Structure: a DFT-relaxed cell (GGA-PBE, Alexandria).

Peak list (10 most intense, 5° ≤ 2θ ≤ 70°, in order of rising 2θ)
- 2θ 26.1, rel. 82
- 2θ 28.9, rel. 89
- 2θ 30.7, rel. 63
- 2θ 32.5, rel. 100
- 2θ 32.7, rel. 25
- 2θ 35.4, rel. 45
- 2θ 39.5, rel. 36
- 2θ 45.3, rel. 67
- 2θ 50.1, rel. 19
- 2θ 57.3, rel. 34

Crystal structure
```
Pm2NdYTm
1.0
4.2257 -5.8158 0.0000
4.2257 5.8158 0.0000
0.0000 0.0000 7.2851
Pm Nd Y Tm
4 2 2 2
direct
0.1907 0.1907 0.0000 Pm
0.1907 0.1907 0.5000 Pm
0.8093 0.8093 0.0000 Pm
0.8093 0.8093 0.5000 Pm
0.2258 0.7742 0.7500 Nd
0.7742 0.2258 0.2500 Nd
0.4940 0.5060 0.7500 Y
0.5060 0.4940 0.2500 Y
0.2279 0.7721 0.2500 Tm
0.7721 0.2279 0.7500 Tm
```

=====

(2)
This entry pairs a crystal structure of LiCeSe with its theoretical XRD peak list. Radiation: CuKα. Structure: a DFT-relaxed cell (GGA-PBE, Alexandria).

Peak list (10 most intense, 5° ≤ 2θ ≤ 70°, in order of rising 2θ)
- 2θ 24.7, rel. 38
- 2θ 32.8, rel. 100
- 2θ 43.3, rel. 10
- 2θ 43.4, rel. 31
- 2θ 50.4, rel. 11
- 2θ 50.6, rel. 5
- 2θ 55.5, rel. 22
- 2θ 63.0, rel. 20
- 2θ 68.7, rel. 4
- 2θ 68.9, rel. 4

Crystal structure
```
LiCeSe
1.0
4.1656 0.0000 0.0000
-2.0828 3.6075 0.0000
0.0000 0.0000 4.1819
Li Ce Se
1 1 1
direct
0.0000 0.0000 0.0000 Li
0.3333 0.6667 0.5000 Ce
0.6667 0.3333 0.0000 Se
```

* * * * *

1.
This entry pairs a crystal structure of AlH3 with its calculated powder X-ray diffraction pattern. Radiation: a wavelength of 1.5418 Å. Structure: a cell relaxed with GGA-PBE.
Peak positions follow from Bragg's law for the DFT cell and can differ from measured ones.

Most intense lines, 2θ = 10–90°, sorted by position:
(1 1 1), d 5.165, rel. 1000
(3 1 1), d 2.697, rel. 443
(2 2 2), d 2.582, rel. 505
(4 0 0), d 2.236, rel. 196
(3 3 1), d 2.052, rel. 159
(3 3 3), d 1.722, rel. 136
(4 4 0), d 1.581, rel. 177
(5 3 1), d 1.512, rel. 145
(6 2 2), d 1.349, rel. 190
(7 3 1), d 1.165, rel. 90

abc: 8.945 8.945 8.945
angles: 90.00 90.00 90.00
Space group Fd-3m (No. 227, origin choice 2)
Unique sites:
1 Al 0.000 0.000 0.000 [16 per cell]
2 H 0.073 0.375 0.375 [48 per cell]

***

2.
This entry pairs a crystal structure of Al5H with its calculated powder X-ray diffraction pattern. Radiation: a wavelength of 1.5418 Å. Structure: a cell relaxed with GGA-PBE.
Peak positions follow from Bragg's law for the DFT cell and can differ from measured ones.

Most intense lines, 2θ = 10–90°, sorted by position:
(0 2 1), d 3.219, rel. 111
(1 1 1), d 2.792, rel. 102
(1 3 1), d 2.269, rel. 1000
(2 0 0), d 2.104, rel. 209
(0 0 2), d 1.984, rel. 174
(0 6 0), d 1.835, rel. 108
(2 0 2), d 1.443, rel. 122
(2 6 0), d 1.382, rel. 116
(3 3 1), d 1.244, rel. 139
(1 3 3), d 1.193, rel. 122

```
data_Al5H
_chemical_formula_sum 'Al10 H2'
_space_group_name_H-M_alt 'C m m m'
_space_group_IT_number 65
_space_group_name_Hall '-C 2 2'
_cell_length_a 4.207
_cell_length_b 11.009
_cell_length_c 3.968
Plant- derived second natural aerosol container work as mediators of plant-plant interactions
Inserted here: calculated crystals:
┌──
For FeH2C2O4, a structure optimized by DFT (PBE+U) gives the computed powder diffraction line list in this record (a wavelength of 1.5418 Å).

Largest 10 diffraction maxima, by angle, 2θ from 15° to 90°:
| d [Å] | intensity |
| --- | --- |
| 4.791 | 94 |
| 4.760 | 100 |
| 4.646 | 9 |
| 3.447 | 20 |
| 3.168 | 65 |
| 2.499 | 27 |
| 2.035 | 16 |
| 2.031 | 22 |
| 2.024 | 9 |
| 1.791 | 14 |

Atomic structure:
a b c (Å): 6.871 6.871 9.610
angles (deg): 127.11 127.11 45.54
Sites, in units of the cell vectors:
Fe (0.138, 0.862, 0.750)
Fe (0.862, 0.138, 0.250)
H (0.012, 0.735, 0.757)
H (0.265, 0.988, 0.743)
H (0.735, 0.012, 0.257)
H (0.988, 0.265, 0.243)
C (0.308, 0.584, 0.145)
C (0.416, 0.692, 0.355)
C (0.584, 0.308, 0.645)
C (0.692, 0.416, 0.855)
O (0.054, 0.755, 0.066)
O (0.245, 0.946, 0.434)
O (0.332, 0.481, 0.565)
O (0.481, 0.332, 0.065)
O (0.519, 0.668, 0.935)
O (0.668, 0.519, 0.435)
O (0.755, 0.054, 0.566)
O (0.946, 0.245, 0.934)

~~~~~

Simulated powder XRD pattern
Compound: Na7Hg2Pb2
Radiation: Cu Kα, 1.54184 Å
Structure: a structure optimized by DFT (PBE)
Intensities are scaled so that the largest is 100.

Cell and atoms:
```
data_Na7Hg2Pb2
_cell_length_a 8.6609
_cell_length_b 9.3239
_cell_length_c 8.2466
_cell_angle_alpha 90.00
_cell_angle_beta 101.95
_cell_angle_gamma 90.00
_symmetry_space_group_name_H-M 'C 1 2/m 1'
_symmetry_Int_Tables_number 12
loop_
_symmetry_equiv_pos_as_xyz
'x,y,z'
'-x,-y,-z'
'-x,y,-z'
'x,-y,z'
'x+1/2,y+1/2,z'
'-x+1/2,-y+1/2,-z'
'-x+1/2,y+1/2,-z'
'x+1/2,-y+1/2,z'
loop_
_atom_site_label
_atom_site_fract_x
_atom_site_fract_y
_atom_site_fract_z
_atom_site_occupancy
Na1 0.0000 0.0000 0.0000 1
Na2 0.1613 0.0000 0.4203 1
Na3 0.2087 0.3087 0.1972 1
Hg1 0.1211 0.5000 0.8685 1
Pb1 0.0000 0.3235 0.5000 1
```

Principal peaks in the range 10 to 90 degrees two-theta, by angle:
index, Position (°2θ), d/Å, I_rel
1 1 0, 14.1, 6.271, 83.1
2 0 -1, 21.6, 4.118, 32.0
0 2 1, 22.0, 4.036, 47.9
2 2 1, 32.2, 2.782, 26.4
3 1 -1, 32.8, 2.731, 29.6
1 3 1, 33.4, 2.684, 100.0
2 0 2, 33.7, 2.659, 23.5
1 1 -3, 34.2, 2.621, 25.5
1 3 -2, 36.7, 2.449, 25.6
1 5 -3, 60.1, 1.540, 14.4
└──

'''
This entry pairs a crystal structure of Li3Fe4B4O12 with its theoretical X-ray powder pattern. Radiation: Cu Ka. Structure: the GGA+U geometry in the Materials Project.
Intensities are scaled so that the largest is 1000.

Atomic structure:
Cell lengths 5.2190, 9.0726, 11.3477 Å; angles 112.29, 102.68, 90.08 degrees
Space group P1 (No. 1)
Inequivalent atoms, fractional coordinates:
Li (0.0000, 0.0000, 0.0000) [1 per cell]
Li (0.0388, 0.0312, 0.7448) [1 per cell]
Li (0.2729, 0.2408, 0.4946) [1 per cell]
Li (0.4969, 0.4978, 0.9976) [1 per cell]
Li (0.5385, 0.5306, 0.7397) [1 per cell]
Li (0.8117, 0.7747, 0.2540) [1 per cell]
Fe (0.0357, 0.3453, 0.7176) [1 per cell]
Fe (0.2490, 0.5702, 0.4664) [1 per cell]
Fe (0.2833, 0.9440, 0.2201) [1 per cell]
Fe (0.4809, 0.1438, 0.9671) [1 per cell]
Fe (0.5465, 0.8472, 0.7113) [1 per cell]
Fe (0.7553, 0.0498, 0.4697) [1 per cell]
Fe (0.7816, 0.4170, 0.2163) [1 per cell]
Fe (0.9886, 0.6528, 0.9649) [1 per cell]
B (0.0311, 0.6815, 0.7111) [1 per cell]
B (0.2369, 0.8906, 0.4616) [1 per cell]
B (0.2785, 0.5994, 0.2146) [1 per cell]
B (0.4886, 0.8081, 0.9596) [1 per cell]
B (0.5302, 0.1793, 0.7129) [1 per cell]
B (0.7482, 0.3892, 0.4654) [1 per cell]
B (0.7814, 0.0922, 0.2100) [1 per cell]
B (0.9923, 0.3103, 0.9663) [1 per cell]
O (0.0305, 0.0910, 0.1924) [1 per cell]
O (0.0953, 0.1665, 0.9491) [1 per cell]
O (0.1095, 0.4224, 0.9338) [1 per cell]
O (0.1354, 0.7103, 0.1807) [1 per cell]
O (0.1591, 0.5054, 0.2651) [1 per cell]
O (0.2538, 0.8383, 0.9985) [1 per cell]
O (0.2663, 0.6465, 0.6652) [1 per cell]
O (0.3516, 0.0123, 0.4376) [1 per cell]
O (0.3943, 0.7820, 0.4983) [1 per cell]
O (0.4066, 0.3103, 0.7015) [1 per cell]
O (0.4124, 0.0742, 0.7522) [1 per cell]
O (0.4911, 0.4097, 0.4765) [1 per cell]
O (0.5350, 0.5769, 0.1979) [1 per cell]
O (0.5962, 0.6640, 0.9467) [1 per cell]
O (0.6134, 0.9191, 0.9281) [1 per cell]
O (0.6252, 0.2073, 0.1813) [1 per cell]
O (0.6797, 0.9839, 0.2515) [1 per cell]
O (0.7625, 0.3432, 0.0156) [1 per cell]
O (0.7775, 0.1549, 0.6857) [1 per cell]
O (0.8709, 0.4817, 0.4140) [1 per cell]
O (0.8938, 0.2811, 0.5027) [1 per cell]
O (0.9196, 0.5727, 0.7489) [1 per cell]
O (0.9249, 0.8204, 0.7184) [1 per cell]
O (0.9714, 0.8705, 0.4459) [1 per cell]

Main lines, sorted by position (2θ = 10–90°):
| 2theta | I (rel.) |
| --- | --- |
| 19.6 | 865 |
| 21.5 | 475 |
| 21.6 | 769 |
| 26.0 | 560 |
| 26.6 | 395 |
| 34.3 | 633 |
| 34.4 | 303 |
| 35.2 | 1000 |
| 40.6 | 311 |
| 54.1 | 278 |

---

This entry pairs a crystal structure of NaMnO2 with its theoretical X-ray powder pattern. Radiation: Cu Ka. Structure: the GGA+U geometry in the Materials Project.
Intensities are scaled so that the largest is 1000.

Atomic structure:
Cell lengths 2.9212, 4.8764, 6.4222 Å; angles 90.00, 90.00, 90.00 degrees
Space group Pmmn (No. 59, origin choice 2)
Inequivalent atoms, fractional coordinates:
Na (0.2500, 0.2500, 0.1233) [2 per cell]
Mn (0.2500, 0.2500, 0.6246) [2 per cell]
O (0.2500, 0.7500, 0.1717) [2 per cell]
'''
### Back to the article
.A brand new research posted in Science discloses that plant-derived secondary all natural aerosols (SOAs) can easily function as arbitrators of plant-plant communications. This research study was performed through the cooperation of chemical environmentalists, plant ecophysiologists and atmospheric physicists at the College of Eastern Finland.It is actually well known that vegetations launch unstable organic compounds (VOCs) into the atmosphere when wrecked by herbivores. These VOCs participate in a critical function in plant-plant interactions, whereby un-damaged vegetations might locate alert coming from their ruined neighbours and also prep their supports. "Reactive plant VOCs go through oxidative chain reaction, causing the buildup of indirect all natural sprays (SOAs). We pondered whether the environmental functionalities resolved through VOCs persist after they are actually heated to form SOAs," stated doctor Hao Yu, previously a PhD pupil at UEF, but now at the University of Bern.The research revealed that Scots ache plants, when destroyed by huge want weevils, launch VOCs that switch on defences in surrounding plants of the very same varieties. Interestingly, the biological task continued to persist after VOCs were actually oxidized to create SOAs. The end results indicated that the essential composition as well as volume of SOAs most likely establishes their organic functions." An essential novelty of the research study is the seeking that plants embrace subtly different defence approaches when acquiring indicators as VOCs or as SOAs, yet they exhibit similar degrees of protection to herbivore eating," mentioned Instructor James Blande, head of the Environmental Conservation Research Study Group. This monitoring opens up the probability that vegetations possess sophisticated sensing units that enable all of them to customize their supports to relevant information stemmed from different sorts of chemical cue." Considering the buildup fee of SOAs from their prototype VOCs, their longer life-time matched up to VOCs, and the atmospheric sky mass transport, our experts expect that the ecologically helpful distance for interactions mediated by SOAs is actually longer than that for plant communications mediated by VOCs," claimed Lecturer Annele Virtanen, scalp of the Aerosol Physics Research Study Group. This may be interpreted as vegetations having the ability to spot signals working with near versus distant risks from herbivores.The study is anticipated to open up a whole brand new structure investigation region to environmental ecologists and also their partners, which might cause brand new knowledge on the chemical signs structuring communications between plants.